Yesterday, I was reflecting a bit on how surprising one’s life can be. For example, if anyone had asked me five years ago to list all the issues I might be writing about in 2017, two of the last things I would have thought about would have been politics and American football.
As we have seen, recent political events have held my interest in this arena more than previously, due to the unprecedented nature of Donald Trump’s rise to power and the issues it raises about effective discourse, authenticity and fake news in a post-truth world. In the weeks to come, I will certainly go back to writing about Clinton and Trump, as there is more to say about their personal storytelling.
Of course, it should be clear that my entries about recent events in the United States are not so much comments on their political significance, but rather about how I analyze this landscape through the lens of narrative.
It is much the same with American football. Today, if I decide to comment about the Super Bowl and the New England Patriots, it is not so much to give my opinion about the event itself. A large part of my interest in this football team stems from the lessons of their remarkable journey. When I reflect on it all, I see valuable insight about organizational culture, leadership, and team building.
[Next to the piece, the page also holds records of crystals]
1.
The following is a DFT calculation (PBE) of crystalline Na2LiTlF6 at its relaxed geometry.

The structure in extended XYZ format:
```
10
Lattice="0.000 4.176 4.176 4.176 0.000 4.176 4.176 4.176 0.000" Properties=species:S:1:pos:R:3 pbc="T T T"
Na 2.088 2.088 2.088
Na 6.264 6.264 6.264
Li 0.000 0.000 0.000
Tl 4.176 4.176 4.176
F 4.176 4.176 2.006
F 4.176 2.006 4.176
F 6.345 4.176 4.176
F 2.006 4.176 4.176
F 4.176 6.345 4.176
F 4.176 4.176 6.345
```

Properties
E (MP2020) ... -4.43 eV/atom
E_tot ... -4.15 eV/atom

2.
The following is a DFT calculation (PBE) of crystalline Na2LiYF6 at its relaxed geometry.

The structure in extended XYZ format:
```
10
Lattice="0.000 4.182 4.182 4.182 0.000 4.182 4.182 4.182 0.000" Properties=species:S:1:pos:R:3 pbc="T T T"
Na 2.091 2.091 2.091
Na 6.273 6.273 6.273
Li 0.000 0.000 0.000
Y 4.182 4.182 4.182
F 4.182 4.182 2.021
F 4.182 2.021 4.182
F 6.343 4.182 4.182
F 2.021 4.182 4.182
F 4.182 6.343 4.182
F 4.182 4.182 6.343
```

Properties
E (MP2020) ... -5.70 eV/atom
E_tot ... -5.42 eV/atom

3.
The following is a DFT calculation (PBE) of crystalline NaLiY2F8 at its relaxed geometry.

The structure in extended XYZ format:
```
24
Lattice="5.300 -4.200 0.000 5.300 4.200 0.000 0.000 0.000 7.128" Properties=species:S:1:pos:R:3 pbc="T T T"
Na 5.300 2.873 5.346
Na 5.300 -2.873 1.782
Li 5.300 0.000 0.000
Li 5.300 0.000 3.564
Y 3.321 2.212 1.782
Y 7.279 2.212 1.782
Y 3.321 -2.212 5.346
Y 7.279 -2.212 5.346
F 5.300 3.286 1.782
F 3.841 1.693 3.926
F 3.841 1.693 6.765
F 2.317 0.229 1.782
F 2.317 -0.229 5.346
F 5.300 0.739 1.782
F 6.758 1.693 3.926
F 6.758 1.693 6.765
F 3.841 -1.693 0.362
F 3.841 -1.693 3.201
F 5.300 -0.739 5.346
F 8.283 0.229 1.782
F 8.283 -0.229 5.346
F 6.758 -1.693 0.362
F 6.758 -1.693 3.201
F 5.300 -3.286 5.346
```

Properties
E (MP2020) ... -6.62 eV/atom
E_tot ... -6.31 eV/atom

4.
The following is a DFT calculation (PBE) of crystalline LiNbF6 at its relaxed geometry.

The structure in extended XYZ format:
```
8
Lattice="2.705 1.562 4.584 -2.705 1.562 4.584 0.000 -3.124 4.584" Properties=species:S:1:pos:R:3 pbc="T T T"
Li 0.000 0.000 0.000
Nb 0.000 0.000 6.876
F -0.466 -1.516 5.757
F -1.546 -0.354 7.994
F -1.080 1.161 5.757
F 1.080 -1.161 7.994
F 1.546 0.354 5.757
F 0.466 1.516 7.994
```

Properties
E (MP2020) ... -6.33 eV/atom
E_tot ... -5.98 eV/atom

5.
The following is a DFT calculation (PBE) of crystalline LiNb3O7F at its relaxed geometry.

The structure in extended XYZ format:
```
12
Lattice="4.050 0.000 0.000 0.000 1.947 10.726 0.000 -1.947 10.726" Properties=species:S:1:pos:R:3 pbc="T T T"
Li 0.000 0.000 0.000
Nb 2.025 0.000 2.174
Nb 2.025 0.000 6.045
Nb 2.025 0.000 9.920
O 0.000 0.000 1.965
O 0.000 0.000 10.043
O 2.025 0.000 4.021
O 2.025 0.000 8.061
O 2.025 0.000 12.290
O 2.025 0.000 16.780
O 2.025 0.000 21.196
F 0.000 0.000 6.040
```

Properties
E (MP2020) ... -8.69 eV/atom
E_tot ... -8.25 eV/atom

6.
The following is a DFT calculation (PBE) of crystalline LiNb3O7F at its relaxed geometry.
The Patriots did in fact win the Super Bowl, in what many experts are calling the most remarkable comeback in history, perhaps even in all of sports. As I watched in disbelief—at 4:30 am in Switzerland—this match wind toward its conclusion, I considered the strange twist of fate that had led to my staying awake for this game.
A few years ago, when my eldest son was four, our family made an extended visit to my parents’ home in Massachusetts. During that time, my father was following the Patriots closely, and taking considerable pride in explaining American football to his grandson. For my part, I had not had more than a passing interest in this sport for a number of years. With a life full of professional and personal activity—most of it based in Europe—I had not watched a full game on television for more than two decades.
As luck would have it, my young son’s interest in the New England team came to pass during the exceptional season of 2014, which culminated in a remarkable Super Bowl victory. Since then, we have both remained at least partially hooked.
Thus, since 2014, we have followed news about the team on their website and in digital media. Personally, I have developed a new appreciation for American football, a game of intricate and endless strategic variations. More importantly, I have gradually come to understand what an outstanding organization the Patriots are, and why they provide a number of lessons for anyone interested in great group performance, regardless of the context.
At the same time, a truly remarkable Super Bowl and my son’s interest in the game would not have been sufficient to incite me to write a blog entry about the New England Patriots. Rather, it was another coincidence that led me to the topic. This week also saw the publication of the latest issue of the Harvard Business Review, which contains two articles that I found germane to my thinking about sports teams and their lessons for other types of organizations.
The first of these articles concerns the role of talent and star performers in a corporate context. Bain & Company analyzed productivity at 25 global companies, and they concluded that, contrary to popular belief, the best companies do not have more star talent than their competitors. What they do have is a better way of deploying their top performers. It seems to me that the New England Patriots are an outstanding example of this concept, and it is a topic I plan to address in the weeks to come.
The second HBR piece, entitled “Why Sports Are a Terrible Metaphor for Business”, comes from Bill Taylor, who cofounded Fast Company magazine. The author warns us about the temptation to look for business lessons on fields of play. As he sees it, notions of competition and strategy are so vastly different in the two domains that one is of limited relevance to the other. While I agree with some of Taylor’s assertions, I believe nonetheless that all of us who care about extraordinary group performance can learn a good deal from highly successful sports teams. So, we have yet another subject for consideration here. More on this next time.
Image: Flickr-user Brian J. McDermott